evolution occurred largely in part because more qualified individuals were able to study historical popular culture, and a wider variety of ideas on the study of popular culture became considered valid.
-- Between two parts of the piece: calculated molecules --
********
Record 1
C41H34GeN4O3Tl | the ωB97M-V functional and the def2-TZVPD basis

ORCA input file:
```
! wB97M-V def2-TZVPD RIJCOSX def2/J DEFGRID3
* xyz -1 1
Tl 0.121 0.566 0.242
C 4.649 -6.051 -0.527
O 5.886 -5.401 -0.290
C 5.938 -4.546 0.768
C 7.118 -3.829 0.921
C 7.254 -2.939 1.971
C 6.211 -2.714 2.863
C 5.047 -3.457 2.722
C 4.906 -4.374 1.686
N 6.481 -1.833 3.974
N 5.618 -1.070 4.441
C 4.356 -0.855 3.816
C 3.263 -0.845 4.659
C 1.952 -0.811 4.196
C 1.659 -0.712 2.824
O 0.486 -0.737 2.351
C 2.817 -0.539 1.941
N 2.546 -0.294 0.638
C 3.529 -0.125 -0.215
C 4.876 -0.137 0.182
C 5.173 -0.364 1.495
C 4.141 -0.617 2.427
H 4.776 -6.632 -1.436
H 3.842 -5.329 -0.667
H 4.386 -6.725 0.292
H 7.922 -3.991 0.213
H 8.178 -2.388 2.105
H 4.233 -3.324 3.423
H 3.984 -4.930 1.602
H 3.460 -0.939 5.723
H 1.117 -0.872 4.885
H 3.253 0.067 -1.247
H 5.656 0.049 -0.544
H 6.201 -0.335 1.827
O -0.770 0.071 -2.460
C -1.238 -1.214 -2.758
C -1.520 -2.118 -1.568
C -2.206 -3.312 -1.764
C -2.489 -4.112 -0.673
C -2.106 -3.690 0.589
C -1.435 -2.485 0.702
N -1.134 -1.728 -0.358
H -1.390 0.607 -1.888
H -0.456 -1.684 -3.362
H -2.139 -1.187 -3.380
H -2.518 -3.598 -2.763
H -3.024 -5.046 -0.804
H -2.338 -4.265 1.476
H -1.113 -2.101 1.665
C -1.458 2.002 -0.312
Ge -2.465 2.064 1.339
C -3.950 3.282 0.874
C -5.045 3.443 1.727
C -6.082 4.316 1.411
C -6.041 5.039 0.223
C -4.964 4.882 -0.641
C -3.927 4.012 -0.316
C -1.759 2.790 3.050
C -0.808 2.081 3.797
C -0.257 2.615 4.958
C -0.642 3.877 5.397
C -1.578 4.598 4.667
C -2.127 4.059 3.507
C -3.431 0.395 1.876
C -3.383 -0.185 3.146
C -4.037 -1.387 3.419
C -4.764 -2.026 2.423
C -4.827 -1.463 1.151
C -4.158 -0.275 0.884
H -5.090 2.874 2.653
H -6.921 4.431 2.088
H -6.847 5.720 -0.026
H -4.932 5.442 -1.570
H -3.079 3.896 -0.985
H -0.486 1.095 3.466
H 0.483 2.048 5.512
H -0.210 4.297 6.298
H -1.878 5.586 4.998
H -2.851 4.641 2.948
H -2.830 0.308 3.940
H -3.983 -1.821 4.412
H -5.276 -2.959 2.634
H -5.387 -1.959 0.366
H -4.192 0.149 -0.117
*
```

The LUMO energy (alpha / beta) is 0.0769 / 0.0769 Ha. The calculation puts the energy above the lowest of the compared OMol25 structures with the same formula, charge and spin at 0.0 kJ/mol. As for the HOMO-LUMO gap (alpha / beta): 5.33 / 5.33 eV. The value obtained for the HOMO energy (alpha / beta) is -3.239 / -3.238 eV.

***

Record 2
C41H35ClN2NiSi2 | the ωB97M-V functional and the def2-TZVPD basis

ORCA input file:
```
! wB97M-V def2-TZVPD RIJCOSX def2/J DEFGRID3
* xyz 0 3
C 1.147 1.401 1.681
C 1.751 0.112 1.820
C 2.708 -0.029 0.772
H 1.625 -0.582 2.634
C 2.672 1.159 -0.030
C 1.717 2.046 0.541
H 1.539 3.066 0.224
H 0.436 1.839 2.369
H 3.389 -0.862 0.676
H 3.326 1.379 -0.865
Ni 0.827 0.294 -0.038
Si 5.342 -2.791 -1.849
C 4.957 -4.639 -2.179
C 4.545 -5.112 -3.429
H 4.372 -4.425 -4.263
C 4.343 -6.483 -3.634
H 4.001 -6.842 -4.606
C 4.586 -7.389 -2.602
H 4.424 -8.458 -2.760
C 5.040 -6.916 -1.370
H 5.240 -7.620 -0.564
C 5.228 -5.548 -1.159
H 5.595 -5.182 -0.198
C 6.412 -2.556 -3.414
C 7.712 -3.072 -3.355
********
-- Here the piece continues --
How the English gathered and judged information of the common people and, in this case, particularly the “other”, reflected their social structure and political ambitions.
John White was not a historian, nor was he sociologist. Yet White was commissioned by the British government to make illustrations and to study the Algonkian people, and his findings were distributed with zeal in England. White would later go on to be the governor of Roanoke. White’s appointment shows a lack of respect for the Algonkian people. Sending an artist with no qualifications to thoroughly and effectively study the Algonkian people meant that qualitied people were not common and well know at the time, or that British government simply did not care about the Algonquian people as a people, and only as a means, they did not bother to find a qualified individual. Likely it was the latter, however the former was also probably true. At this point in history, the study of other cultures in Britain did not frequently exist outside of racist rants and political ambition. Since White was an employee of the Crown as well as a loyal Englishman, he viewed the Algonquian people through the lens of the English government, a lens filled with dreams of conquest and superiority. This lens corrupted secondary sources until “popular culture” become synonymous with inferiority. Because English society allowed unqualified but well connected men to be judge and jury on cultures they did not even attempt to understand, …show more content…
they viewed popular culture as irrelevant and crude, and useless in both history and life.
This air of superiority continued in the era of Herder, but here only those deemed qualified could discuss such an intellectual matter, shifting the range of people who were involved in the study of popular culture. Herder came from a well off family, and was able to attend university. From then on he became a prominent intellectual in several humanities related fields, and devoted part of his study to that of other cultures. In Reflections on the Philosophy of the History of Mankind, Herder describes the different races, and what he believes each race is naturally inclined to do. Here, he pities his poor European race for being too restless, too burdened with intellectualism. One of the many ironies here is that that intellectualism was vital for Herder to be able to publish such a paper at all. By the 1800s, in order to have ones thought taken seriously, an individual would have had to be highly educated and passed the rampant intellectual gate keeping. This concept is best illustrated with a story by Erasmus, in which in rings around a house represented what level of intellectual depth Erasmus deemed appropriate for people of varying genders and sociopolitical statues. Herder would have been permitted into the inner most circle, and because of this, he could express his thoughts and be taken seriously by his contemporaries. Intellectual gate keeping led to a very narrow range of people able to express their thoughts on popular culture, or any other intellectual topic. These man would have enjoyed the feeling of intellectual superiority, and the feeling that their intellect somehow earned them the right to pass judgment. This is similar to White’s era, except now these men thought themselves qualifies, and were not employees of the government. They still had no desire to respect or understand any of the cultures they were writing about, so they feel into the same dehumanizing pitfalls as previous eras. Because they were independent scholars, they were motivated less by politics and economics and more by personal beliefs of race and worldview, so more musing on race and philosophy became present when discussing the “other”, as opposed to political schemes. In turn, popular culture was then viewed as beneath an educated man, as something to be pitied and helped rather than as a life that real humans lived.
Karl Marx did not experience the same pitfalls as previous generations.
His ideas and experience are completely different than his predecessors. Marx strongly believed that history was just class struggle between the proletariat and bourgeois, even that history would end when the proletariat rises up and takes control of the means of production. Marx identified with the proletariat and their popular culture, leading to the first sympathetic view point of popular culture. However, there is strange paradox, because while Marx believes he is championing the proletariat, he also erases culture as he simplifies it to just one intersection. Everything that might have been thought of as culture, from folk stories to food, is eradicated. The individuals from history that Marx claims to be championing might very well take offense to this dismissal. Nevertheless, Karl Marx represents a leap forward in the study of popular culture. Marx’s ideas were revolutionary, and how widespread they became illustrates how perception of popular culture and commoners were shifted. Marx distributed pamphlets, such as the Communist Manifesto, aimed not at the intellectual elite, but at common people. In truth, his true goal was to spread Marxism, and not to change how people study popular culture. Regardless, by addressing his ideas to the public directly, he is saying that he respects the public’s ability to understand his message. Marx’s innate respect for his contempories extends to those same
people of the past, and a respect and empathy that is considered vital in today’s study of history.
Carlo Ginsburg takes this respect to any entirely new level. Ginsburg specialized in the field of microhistory, the intense study of a particular person or incident. Microhistory requires a historian to delve deeply into the subject matter, and since more topics studied focus on more obscure individuals, their very nature requires a respect and empathy with popular culture. Microhistory is the inverse of how history had been approached by scholars such as Herder. It furthers the importance of popular culture in the study of history. It gives popular culture the spotlight, and while the microhistory itself is an incompletely flash of history, it gives the depth and empathy the study of popular culture had lacked before. By the time Ginsburg had become a micro historian, the study of popular culture had completely evolved. It allowed for multipliable methods for studying popular culture. Perhaps this is because a wider variety of people had access to education, including people who identified popular culture. Perhaps it was because the sociopolitical structure now put an emphasis on merit and the ability of people to make something of themselves in so many places that naturally historians began to have reexamine popular culture. Whatever the reason, popular culture been given its rightful place on the mantel of history.
The study of popular culture could seem inconsequential at first glance. The people who were part of it are not individually influential enough to be in any textbooks, but they are us. They are the majority, the people we, as a part of current popular culture, should relate to the most. When past historians ignored the study of popular culture, they were not only ignoring that part of the past, but their present day equivalent. As time progressed, and more people could study and publish their thoughts on history, the study of popular culture came into the forefront, recognized as the half of history that had been missing for so long. Ultimately, all history is an act of empathy, but for the study of popular culture, this is especially true. In order to understand it fully, we must recognize that we are the same as they were, and even though our environment and circumstance might be different, they are what we would have been.